Please return the notes below from the first line to the one with "Cell: 4.9403" with every line break kept.

~~~
[1]
A relaxed CaPtS crystal, computed with PBE.

The calculated volume is 21.630 Å³ per atom. The uncorrected formation energy is -1.152 eV per atom. The calculation puts the energy at -15.6 eV/f.u. The spin magnetization comes out at 0.00 μB per cell.

abc: 4.387 5.640 5.641
angles: 88.99 75.24 74.37
Space group P-1 (No. 2)
Asymmetric unit:
Ca 0.008 0.251 0.245 (multiplicity 2)
Pt 0.407 0.692 0.197 (multiplicity 2)
S 0.157 0.211 0.713 (multiplicity 2)


[2]
A relaxed LaNi2Ir crystal, computed with PBE.

The calculation puts the formation energy from the elements at -0.38 eV per atom. The calculated volume is 19.165 Å³ per atom. The calculation puts the energy at -26.9 eV/f.u. The spin magnetization comes out at 0.00 μB per cell.

abc: 7.382 4.264 5.464
angles: 90.00 116.94 90.00
Space group Cm (No. 8)
Asymmetric unit:
La 0.000 0.000 0.000 (multiplicity 2)
Ni 0.011 0.500 0.535 (multiplicity 2)
Ni 0.314 0.500 0.446 (multiplicity 2)
Ir 0.188 0.000 0.567 (multiplicity 2)


[3]
A relaxed Sm12TlIn3 crystal, computed with PBE.

The calculation puts the formation energy from the elements at -0.25 eV per atom. The calculated volume is 30.048 Å³ per atom. The calculation puts the energy at -71.3 eV/f.u. The spin magnetization comes out at 0.00 μB per cell.

abc: 4.932 4.932 19.768
angles: 90.00 90.00 90.00
Space group P4/mmm (No. 123)
Asymmetric unit:
Sm 0.000 0.000 0.000 (multiplicity 1)
Sm 0.000 0.000 0.250 (multiplicity 2)
Sm 0.000 0.000 0.500 (multiplicity 1)
Sm 0.000 0.500 0.125 (multiplicity 4)
Sm 0.000 0.500 0.374 (multiplicity 4)
Tl 0.500 0.500 0.500 (multiplicity 1)
In 0.500 0.500 0.000 (multiplicity 1)
In 0.500 0.500 0.250 (multiplicity 2)


The following is a PBE calculation of a relaxed Sm3Ho2Mg crystal, from the Alexandria database.

Cell: 3.6038 3.6038 14.3981 Å, 90.00 90.00 90.00°
Last column: nearest neighbours and their distance in Å.
Fractional coordinates of all 6 atoms:
Sm 0.0000 0.0000 0.0000  8 Ho 3.58, 4 Sm 3.60
Sm 0.0000 0.0000 0.3465  4 Mg 3.37, 4 Ho 3.55, 4 Sm 3.60
Sm 0.0000 0.0000 0.6535  4 Mg 3.37, 4 Ho 3.55, 4 Sm 3.60
Ho 0.5000 0.5000 0.1744  8 Sm 3.55-3.58, 4 Ho 3.60
Ho 0.5000 0.5000 0.8256  8 Sm 3.55-3.58, 4 Ho 3.60
Mg 0.5000 0.5000 0.5000  8 Sm 3.37, 4 Mg 3.60

Computed properties:
- Symmetry: P4/mmm, No. 123
- Final energy: -25.002 eV per cell
- Magnetization: 0.0 μB/f.u.
- Calculated volume: 31.166 Å³ per atom
- Energy of formation from the pure elements: -0.02 eV per atom
- Energy above the lowest structure with this stoichiometry: 0.0 kJ per mole of atoms
- DOS at the Fermi energy: 7.402 states/eV per cell
- Crystal system: tetragonal

The following is a PBE calculation of a relaxed Ag7Au crystal, from the Alexandria database.

Cell: 5.8799 5.8799 5.8799 Å, 60.00 60.00 60.00°
Last column: nearest neighbours and their distance in Å.
Fractional coordinates of all 8 atoms:
Ag 0.0000 0.0000 0.0000  12 Ag 2.94
Ag 0.0000 0.0000 0.5000  2 Au 2.94, 10 Ag 2.94
Ag 0.0000 0.5000 0.0000  2 Au 2.94, 10 Ag 2.94
Ag 0.0000 0.5000 0.5000  2 Au 2.94, 10 Ag 2.94
Ag 0.5000 0.0000 0.0000  2 Au 2.94, 10 Ag 2.94
Ag 0.5000 0.0000 0.5000  2 Au 2.94, 10 Ag 2.94
Ag 0.5000 0.5000 0.0000  2 Au 2.94, 10 Ag 2.94
Au 0.5000 0.5000 0.5000  12 Ag 2.94

Computed properties:
- Symmetry: Fm-3m, No. 225
- Final energy: -23.121 eV per cell
- Magnetization: 0.0 μB/f.u.
- Calculated volume: 17.968 Å³ per atom
- Energy of formation from the pure elements: 0.01 eV per atom
- DOS at the Fermi energy: 3.163 states/eV per cell
- Crystal system: cubic

The following is a PBE calculation of a relaxed CdFePt2 crystal, from the Alexandria database.

Cell: 4.9403 4.9403 4.8373 Å, 100.27 100.27 33.38°
Last column: nearest neighbours and their distance in Å.
Fractional coordinates of all 4 atoms:
Cd 0.0000 0.0000 0.0000  7 Pt 2.74-2.84, 2 Cd 2.84, 3 Fe 2.92-2.97
Fe 0.7593 0.7593 0.3007  7 Pt 2.68-2.89, 2 Fe 2.84, 3 Cd 2.92-2.97
Pt 0.2458 0.2458 0.7757  4 Fe 2.72-2.89, 3 Cd 2.74-2.83, 5 Pt 2.84-2.97
~~~

[1]
A relaxed CaPtS crystal, computed with PBE.

The calculated volume is 21.630 Å³ per atom. The uncorrected formation energy is -1.152 eV per atom. The calculation puts the energy at -15.6 eV/f.u. The spin magnetization comes out at 0.00 μB per cell.

abc: 4.387 5.640 5.641
angles: 88.99 75.24 74.37
Space group P-1 (No. 2)
Asymmetric unit:
Ca 0.008 0.251 0.245 (multiplicity 2)
Pt 0.407 0.692 0.197 (multiplicity 2)
S 0.157 0.211 0.713 (multiplicity 2)


[2]
A relaxed LaNi2Ir crystal, computed with PBE.

The calculation puts the formation energy from the elements at -0.38 eV per atom. The calculated volume is 19.165 Å³ per atom. The calculation puts the energy at -26.9 eV/f.u. The spin magnetization comes out at 0.00 μB per cell.

abc: 7.382 4.264 5.464
angles: 90.00 116.94 90.00
Space group Cm (No. 8)
Asymmetric unit:
La 0.000 0.000 0.000 (multiplicity 2)
Ni 0.011 0.500 0.535 (multiplicity 2)
Ni 0.314 0.500 0.446 (multiplicity 2)
Ir 0.188 0.000 0.567 (multiplicity 2)


[3]
A relaxed Sm12TlIn3 crystal, computed with PBE.

The calculation puts the formation energy from the elements at -0.25 eV per atom. The calculated volume is 30.048 Å³ per atom. The calculation puts the energy at -71.3 eV/f.u. The spin magnetization comes out at 0.00 μB per cell.

abc: 4.932 4.932 19.768
angles: 90.00 90.00 90.00
Space group P4/mmm (No. 123)
Asymmetric unit:
Sm 0.000 0.000 0.000 (multiplicity 1)
Sm 0.000 0.000 0.250 (multiplicity 2)
Sm 0.000 0.000 0.500 (multiplicity 1)
Sm 0.000 0.500 0.125 (multiplicity 4)
Sm 0.000 0.500 0.374 (multiplicity 4)
Tl 0.500 0.500 0.500 (multiplicity 1)
In 0.500 0.500 0.000 (multiplicity 1)
In 0.500 0.500 0.250 (multiplicity 2)


The following is a PBE calculation of a relaxed Sm3Ho2Mg crystal, from the Alexandria database.

Cell: 3.6038 3.6038 14.3981 Å, 90.00 90.00 90.00°
Last column: nearest neighbours and their distance in Å.
Fractional coordinates of all 6 atoms:
Sm 0.0000 0.0000 0.0000  8 Ho 3.58, 4 Sm 3.60
Sm 0.0000 0.0000 0.3465  4 Mg 3.37, 4 Ho 3.55, 4 Sm 3.60
Sm 0.0000 0.0000 0.6535  4 Mg 3.37, 4 Ho 3.55, 4 Sm 3.60
Ho 0.5000 0.5000 0.1744  8 Sm 3.55-3.58, 4 Ho 3.60
Ho 0.5000 0.5000 0.8256  8 Sm 3.55-3.58, 4 Ho 3.60
Mg 0.5000 0.5000 0.5000  8 Sm 3.37, 4 Mg 3.60

Computed properties:
- Symmetry: P4/mmm, No. 123
- Final energy: -25.002 eV per cell
- Magnetization: 0.0 μB/f.u.
- Calculated volume: 31.166 Å³ per atom
- Energy of formation from the pure elements: -0.02 eV per atom
- Energy above the lowest structure with this stoichiometry: 0.0 kJ per mole of atoms
- DOS at the Fermi energy: 7.402 states/eV per cell
- Crystal system: tetragonal

The following is a PBE calculation of a relaxed Ag7Au crystal, from the Alexandria database.

Cell: 5.8799 5.8799 5.8799 Å, 60.00 60.00 60.00°
Last column: nearest neighbours and their distance in Å.
Fractional coordinates of all 8 atoms:
Ag 0.0000 0.0000 0.0000  12 Ag 2.94
Ag 0.0000 0.0000 0.5000  2 Au 2.94, 10 Ag 2.94
Ag 0.0000 0.5000 0.0000  2 Au 2.94, 10 Ag 2.94
Ag 0.0000 0.5000 0.5000  2 Au 2.94, 10 Ag 2.94
Ag 0.5000 0.0000 0.0000  2 Au 2.94, 10 Ag 2.94
Ag 0.5000 0.0000 0.5000  2 Au 2.94, 10 Ag 2.94
Ag 0.5000 0.5000 0.0000  2 Au 2.94, 10 Ag 2.94
Au 0.5000 0.5000 0.5000  12 Ag 2.94

Computed properties:
- Symmetry: Fm-3m, No. 225
- Final energy: -23.121 eV per cell
- Magnetization: 0.0 μB/f.u.
- Calculated volume: 17.968 Å³ per atom
- Energy of formation from the pure elements: 0.01 eV per atom
- DOS at the Fermi energy: 3.163 states/eV per cell
- Crystal system: cubic

The following is a PBE calculation of a relaxed CdFePt2 crystal, from the Alexandria database.

Cell: 4.9403 4.9403 4.8373 Å, 100.27 100.27 33.38°